Work order >
Return the material below verbatim.

Source >
<<<
This record from the Alexandria database describes an optimized crystal structure of BaNaIn2. The functional is PBE-GGA.

Results
- symmetry = I-42d
- theoretical density (g/cm³) = 4.13
- VASP energy (eV per atom) = -2.24
- magnetization (μB per formula unit) = 0.00
- excess energy over the best structure of this formula in the dataset (kJ/mol of atoms) = 17.8

abc: 11.4467 11.4467 11.4467
angles: 152.77 152.77 38.88
Closest atoms and distances in Å follow each position.
Atoms (fractional coordinates):
Ba1 0.0000 0.0000 0.0000  4 In 3.67, 4 Na 3.81
Ba2 0.7500 0.2500 0.5000  4 In 3.67, 4 Na 3.81
Na1 0.2500 0.7500 0.5000  4 In 3.08
Na2 0.5000 0.5000 0.0000  4 In 3.08
In1 0.2631 0.6250 0.1381  2 In 2.95, 2 Na 3.08
In2 0.3750 0.5131 0.6381  2 In 2.95, 2 Na 3.08
In3 0.4869 0.1250 0.8619  2 In 2.95, 2 Na 3.08
In4 0.8750 0.7369 0.3619  2 In 2.95, 2 Na 3.08


This record from the Alexandria database describes an optimized crystal structure of Ba2HBr2. The functional is PBE-GGA.

Results
- symmetry = P4/mmm
- theoretical density (g/cm³) = 1.47
- VASP energy (eV per atom) = -2.65
- magnetization (μB per formula unit) = 0.00

abc: 5.7105 5.7105 15.1191
angles: 90.00 90.00 90.00
Closest atoms and distances in Å follow each position.
Atoms (fractional coordinates):
Ba1 0.0000 0.0000 0.1674  1 H 2.53
Ba2 0.0000 0.0000 0.8326  1 H 2.53
H1 0.0000 0.0000 0.0000  2 Ba 2.53
Br1 0.0000 0.0000 0.3562  1 Ba 2.85
Br2 0.0000 0.0000 0.6438  1 Ba 2.85


This record from the Alexandria database describes an optimized crystal structure of Pa3CN3. The functional is PBE-GGA.

Results
- symmetry = R-3
- formation energy (no corrections) (eV/atom) = -1.26
- theoretical density (g/cm³) = 11.07
- VASP energy (eV per atom) = -10.21
- magnetization (μB per formula unit) = 0.00

abc: 7.0072 7.0072 7.0072
angles: 56.59 56.59 56.59
Closest atoms and distances in Å follow each position.
Atoms (fractional coordinates):
Pa1 0.0632 0.7667 0.4178  4 N 2.28-2.32
Pa2 0.2333 0.5822 0.9368  4 N 2.28-2.32
Pa3 0.4178 0.0632 0.7667  4 N 2.28-2.32
Pa4 0.5822 0.9368 0.2333  4 N 2.28-2.32
Pa5 0.7667 0.4178 0.0632  4 N 2.28-2.32
Pa6 0.9368 0.2333 0.5822  4 N 2.28-2.32
C1 0.1710 0.1710 0.1710  6 Pa 2.56-2.67
C2 0.8290 0.8290 0.8290  6 Pa 2.56-2.67
N1 0.0733 0.3778 0.6961  4 Pa 2.28-2.32
N2 0.3039 0.9267 0.6222  4 Pa 2.28-2.32
N3 0.3778 0.6961 0.0733  4 Pa 2.28-2.32
N4 0.6222 0.3039 0.9267  4 Pa 2.28-2.32
N5 0.6961 0.0733 0.3778  4 Pa 2.28-2.32
N6 0.9267 0.6222 0.3039  4 Pa 2.28-2.32


This record from the Alexandria database describes an optimized crystal structure of TaCoPd3. The functional is PBE-GGA.

Results
- symmetry = Pm-3m
- theoretical density (g/cm³) = 8.39
- VASP energy (eV per atom) = -5.64
- magnetization (μB per formula unit) = 1.95
- excess energy over the best structure of this formula in the dataset (kJ/mol of atoms) = 24.1

abc: 4.8013 4.8013 4.8013
angles: 90.00 90.00 90.00
Closest atoms and distances in Å follow each position.
Atoms (fractional coordinates):
Ta1 0.0000 0.0000 0.0000  6 Pd 2.40
Co1 0.5000 0.5000 0.5000  12 Pd 3.40
Pd1 0.0000 0.0000 0.5000  2 Ta 2.40
Pd2 0.0000 0.5000 0.0000  2 Ta 2.40
Pd3 0.5000 0.0000 0.0000  2 Ta 2.40


This record from the Alexandria database describes an optimized crystal structure of Ac3Fe2Si4. The functional is PBE-GGA.

Results
- symmetry = C2/m
- formation energy (no corrections) (eV/atom) = -0.44
- theoretical density (g/cm³) = 7.59
- VASP energy (eV per atom) = -6.10
- magnetization (μB per formula unit) = 0.93

abc: 6.3035 6.3035 8.2763
angles: 105.37 105.37 38.88
Closest atoms and distances in Å follow each position.
Atoms (fractional coordinates):
Ac1 0.0000 0.0000 0.0000  8 Si 3.22-3.57
Ac2 0.3938 0.3938 0.3120  8 Si 3.16-3.45, 3 Fe 3.19-3.21, 1 Ac 3.41
Ac3 0.6062 0.6062 0.6880  8 Si 3.16-3.45, 3 Fe 3.19-3.21, 1 Ac 3.41
Fe1 0.2945 0.2945 0.6352  4 Si 2.31-2.38
Fe2 0.7055 0.7055 0.3648  4 Si 2.31-2.38
Si1 0.1336 0.1336 0.3966  3 Fe 2.31-2.33
Si2 0.2790 0.2790 0.9161  1 Fe 2.38
Si3 0.7210 0.7210 0.0839  1 Fe 2.38
>>>

Completed >
This record from the Alexandria database describes an optimized crystal structure of BaNaIn2. The functional is PBE-GGA.

Results
- symmetry = I-42d
- theoretical density (g/cm³) = 4.13
- VASP energy (eV per atom) = -2.24
- magnetization (μB per formula unit) = 0.00
- excess energy over the best structure of this formula in the dataset (kJ/mol of atoms) = 17.8

abc: 11.4467 11.4467 11.4467
angles: 152.77 152.77 38.88
Closest atoms and distances in Å follow each position.
Atoms (fractional coordinates):
Ba1 0.0000 0.0000 0.0000  4 In 3.67, 4 Na 3.81
Ba2 0.7500 0.2500 0.5000  4 In 3.67, 4 Na 3.81
Na1 0.2500 0.7500 0.5000  4 In 3.08
Na2 0.5000 0.5000 0.0000  4 In 3.08
In1 0.2631 0.6250 0.1381  2 In 2.95, 2 Na 3.08
In2 0.3750 0.5131 0.6381  2 In 2.95, 2 Na 3.08
In3 0.4869 0.1250 0.8619  2 In 2.95, 2 Na 3.08
In4 0.8750 0.7369 0.3619  2 In 2.95, 2 Na 3.08


This record from the Alexandria database describes an optimized crystal structure of Ba2HBr2. The functional is PBE-GGA.

Results
- symmetry = P4/mmm
- theoretical density (g/cm³) = 1.47
- VASP energy (eV per atom) = -2.65
- magnetization (μB per formula unit) = 0.00

abc: 5.7105 5.7105 15.1191
angles: 90.00 90.00 90.00
Closest atoms and distances in Å follow each position.
Atoms (fractional coordinates):
Ba1 0.0000 0.0000 0.1674  1 H 2.53
Ba2 0.0000 0.0000 0.8326  1 H 2.53
H1 0.0000 0.0000 0.0000  2 Ba 2.53
Br1 0.0000 0.0000 0.3562  1 Ba 2.85
Br2 0.0000 0.0000 0.6438  1 Ba 2.85


This record from the Alexandria database describes an optimized crystal structure of Pa3CN3. The functional is PBE-GGA.

Results
- symmetry = R-3
- formation energy (no corrections) (eV/atom) = -1.26
- theoretical density (g/cm³) = 11.07
- VASP energy (eV per atom) = -10.21
- magnetization (μB per formula unit) = 0.00

abc: 7.0072 7.0072 7.0072
angles: 56.59 56.59 56.59
Closest atoms and distances in Å follow each position.
Atoms (fractional coordinates):
Pa1 0.0632 0.7667 0.4178  4 N 2.28-2.32
Pa2 0.2333 0.5822 0.9368  4 N 2.28-2.32
Pa3 0.4178 0.0632 0.7667  4 N 2.28-2.32
Pa4 0.5822 0.9368 0.2333  4 N 2.28-2.32
Pa5 0.7667 0.4178 0.0632  4 N 2.28-2.32
Pa6 0.9368 0.2333 0.5822  4 N 2.28-2.32
C1 0.1710 0.1710 0.1710  6 Pa 2.56-2.67
C2 0.8290 0.8290 0.8290  6 Pa 2.56-2.67
N1 0.0733 0.3778 0.6961  4 Pa 2.28-2.32
N2 0.3039 0.9267 0.6222  4 Pa 2.28-2.32
N3 0.3778 0.6961 0.0733  4 Pa 2.28-2.32
N4 0.6222 0.3039 0.9267  4 Pa 2.28-2.32
N5 0.6961 0.0733 0.3778  4 Pa 2.28-2.32
N6 0.9267 0.6222 0.3039  4 Pa 2.28-2.32


This record from the Alexandria database describes an optimized crystal structure of TaCoPd3. The functional is PBE-GGA.

Results
- symmetry = Pm-3m
- theoretical density (g/cm³) = 8.39
- VASP energy (eV per atom) = -5.64
- magnetization (μB per formula unit) = 1.95
- excess energy over the best structure of this formula in the dataset (kJ/mol of atoms) = 24.1

abc: 4.8013 4.8013 4.8013
angles: 90.00 90.00 90.00
Closest atoms and distances in Å follow each position.
Atoms (fractional coordinates):
Ta1 0.0000 0.0000 0.0000  6 Pd 2.40
Co1 0.5000 0.5000 0.5000  12 Pd 3.40
Pd1 0.0000 0.0000 0.5000  2 Ta 2.40
Pd2 0.0000 0.5000 0.0000  2 Ta 2.40
Pd3 0.5000 0.0000 0.0000  2 Ta 2.40


This record from the Alexandria database describes an optimized crystal structure of Ac3Fe2Si4. The functional is PBE-GGA.

Results
- symmetry = C2/m
- formation energy (no corrections) (eV/atom) = -0.44
- theoretical density (g/cm³) = 7.59
- VASP energy (eV per atom) = -6.10
- magnetization (μB per formula unit) = 0.93

abc: 6.3035 6.3035 8.2763
angles: 105.37 105.37 38.88
Closest atoms and distances in Å follow each position.
Atoms (fractional coordinates):
Ac1 0.0000 0.0000 0.0000  8 Si 3.22-3.57
Ac2 0.3938 0.3938 0.3120  8 Si 3.16-3.45, 3 Fe 3.19-3.21, 1 Ac 3.41
Ac3 0.6062 0.6062 0.6880  8 Si 3.16-3.45, 3 Fe 3.19-3.21, 1 Ac 3.41
Fe1 0.2945 0.2945 0.6352  4 Si 2.31-2.38
Fe2 0.7055 0.7055 0.3648  4 Si 2.31-2.38
Si1 0.1336 0.1336 0.3966  3 Fe 2.31-2.33
Si2 0.2790 0.2790 0.9161  1 Fe 2.38
Si3 0.7210 0.7210 0.0839  1 Fe 2.38